(File)
********
{
  "formula": "C4H5N3O",
  "method": "ωB97M-V/def2-TZVPD",
  "symbols": ["C", "C", "C", "C", "H", "H", "H", "H", "H", "N", "N", "N", "O"],
  "coordinates": [[-1.39139, -0.08966, 0.26055], [-0.91291, 1.43107, -0.05740], [0.44840, 0.84467, 0.01869], [0.03049, -0.43649, 0.09326], [-3.24035, -0.67928, 0.10503], [-1.63855, 0.09526, 1.38673], [-1.13640, 2.09135, 0.85780], [-1.06228, 1.93966, -1.06480], [2.97301, -0.90136, -0.35124], [1.81046, 0.80913, -0.11902], [2.07091, -0.43637, 0.00555], [1.03760, -1.31598, 0.07456], [-2.42197, -0.80508, -0.31897]],
  "nbo_charge": [0.124, -0.426, 0.058, 0.028, 0.480, 0.158, 0.211, 0.237, 0.413, -0.210, -0.143, -0.243, -0.688],
  "de_lowest_ev": 4.655,
  "homo_lumo_gap_ev": 10.2298,
  "energy_ha": -394.796508,
  "smiles": "O[C@@H]1Cc2n[nH]nc21"
}

***

{
  "formula": "C8H10N2O2S",
  "method": "ωB97M-V/def2-TZVPD",
  "symbols": ["C", "C", "C", "C", "C", "C", "C", "C", "N", "N", "O", "O", "S", "H", "H", "H", "H", "H", "H", "H", "H", "H", "H"],
  "coordinates": [[0.28579, -2.54422, -1.32118], [0.12953, -1.70410, -0.47619], [0.61990, 2.68065, 0.18377], [0.15143, 1.62171, 0.92904], [1.15118, 1.47266, -1.74681], [0.52872, 1.31707, -3.14775], [-1.92150, -1.80046, 2.41149], [0.12585, -0.79873, 0.57254], [0.92484, 2.53347, -1.13168], [0.23687, 0.44412, 0.33043], [0.18729, -0.39556, 3.16275], [0.62095, -2.78207, 2.54520], [-0.02705, -1.48584, 2.27945], [0.62240, -3.13778, -2.05310], [0.47179, 3.73539, 0.58582], [-0.32261, 1.77093, 1.90245], [1.78799, 0.57484, -1.52057], [-0.54650, 1.45583, -3.12083], [0.81001, 0.46202, -3.74740], [0.74328, 2.19415, -3.75210], [-1.98724, -2.28748, 3.32259], [-2.47987, -0.84699, 2.12304], [-2.11304, -2.47959, 1.66905]],
  "nbo_charge": [-0.137, -0.074, 0.062, -0.133, 0.248, -0.692, -0.797, -0.114, -0.469, -0.337, -0.947, -0.907, 2.068, 0.218, 0.213, 0.222, 0.187, 0.239, 0.219, 0.241, 0.239, 0.235, 0.216],
  "de_lowest_ev": 6.808,
  "homo_lumo_gap_ev": 7.3774,
  "energy_ha": -968.802515,
  "smiles": "C#C/C(=N/C=C\\N=C\\C)S(C)(=O)=O"
}

***

{
  "formula": "C2H7N3S2",
  "method": "ωB97M-V/def2-TZVPD",
  "symbols": ["C", "C", "H", "H", "H", "H", "H", "H", "H", "N", "N", "N", "S", "S"],
  "coordinates": [[1.81344, -1.38915, -1.40244], [-0.63209, 0.30152, 0.23278], [2.72873, -0.97940, -0.95754], [2.20201, -2.03778, -2.20481], [1.36381, -2.07251, -0.71022], [0.33105, 1.75502, -0.82292], [-1.86744, -0.95562, 0.90583], [0.03700, 1.59386, 1.56343], [-2.94849, 1.86801, 2.26242], [0.39390, 0.72658, -0.61123], [-1.34486, -0.74381, 0.00383], [-0.82999, 1.19789, 1.30118], [0.72608, -0.17579, -2.02772], [-1.97315, 0.91118, 2.46740]],
  "nbo_charge": [-0.800, 0.542, 0.219, 0.243, 0.228, 0.404, 0.348, 0.394, 0.111, -0.797, -0.724, -0.804, 0.440, 0.197],
  "de_lowest_ev": 0.387,
  "homo_lumo_gap_ev": 9.1435,
  "energy_ha": -1041.007774,
  "smiles": "[H]/N=C(\\NS)NSC"
}

***

{
  "formula": "C2H2N4S2",
  "method": "ωB97M-V/def2-TZVPD",
  "symbols": ["C", "C", "H", "H", "N", "N", "N", "N", "S", "S"],
  "coordinates": [[1.22517, -0.05746, -0.00517], [-1.23009, 0.07830, 0.11283], [3.00614, -1.20277, 0.71201], [-3.06146, 1.19500, -0.69454], [0.66762, -1.20439, -0.06541], [-0.63609, -1.14321, 0.19094], [-0.65074, 1.23583, 0.15100], [0.71697, 1.13976, 0.15285], [2.97143, 0.07049, -0.30324], [-3.00896, -0.11155, -0.25128]],
  "nbo_charge": [0.156, 0.196, 0.177, 0.155, -0.179, -0.174, -0.208, -0.194, 0.033, 0.038],
  "de_lowest_ev": 1.606,
  "homo_lumo_gap_ev": 7.9941,
  "energy_ha": -1092.675368,
  "smiles": "Sc1nnc(S)nn1"
}

***

{
  "formula": "C23H72O13",
  "method": "ωB97M-V/def2-TZVPD",
********
(To do)
Could you transcribe the whole of the contents earlier on without altering anything?
(Response)
{
  "formula": "C4H5N3O",
  "method": "ωB97M-V/def2-TZVPD",
  "symbols": ["C", "C", "C", "C", "H", "H", "H", "H", "H", "N", "N", "N", "O"],
  "coordinates": [[-1.39139, -0.08966, 0.26055], [-0.91291, 1.43107, -0.05740], [0.44840, 0.84467, 0.01869], [0.03049, -0.43649, 0.09326], [-3.24035, -0.67928, 0.10503], [-1.63855, 0.09526, 1.38673], [-1.13640, 2.09135, 0.85780], [-1.06228, 1.93966, -1.06480], [2.97301, -0.90136, -0.35124], [1.81046, 0.80913, -0.11902], [2.07091, -0.43637, 0.00555], [1.03760, -1.31598, 0.07456], [-2.42197, -0.80508, -0.31897]],
  "nbo_charge": [0.124, -0.426, 0.058, 0.028, 0.480, 0.158, 0.211, 0.237, 0.413, -0.210, -0.143, -0.243, -0.688],
  "de_lowest_ev": 4.655,
  "homo_lumo_gap_ev": 10.2298,
  "energy_ha": -394.796508,
  "smiles": "O[C@@H]1Cc2n[nH]nc21"
}

***

{
  "formula": "C8H10N2O2S",
  "method": "ωB97M-V/def2-TZVPD",
  "symbols": ["C", "C", "C", "C", "C", "C", "C", "C", "N", "N", "O", "O", "S", "H", "H", "H", "H", "H", "H", "H", "H", "H", "H"],
  "coordinates": [[0.28579, -2.54422, -1.32118], [0.12953, -1.70410, -0.47619], [0.61990, 2.68065, 0.18377], [0.15143, 1.62171, 0.92904], [1.15118, 1.47266, -1.74681], [0.52872, 1.31707, -3.14775], [-1.92150, -1.80046, 2.41149], [0.12585, -0.79873, 0.57254], [0.92484, 2.53347, -1.13168], [0.23687, 0.44412, 0.33043], [0.18729, -0.39556, 3.16275], [0.62095, -2.78207, 2.54520], [-0.02705, -1.48584, 2.27945], [0.62240, -3.13778, -2.05310], [0.47179, 3.73539, 0.58582], [-0.32261, 1.77093, 1.90245], [1.78799, 0.57484, -1.52057], [-0.54650, 1.45583, -3.12083], [0.81001, 0.46202, -3.74740], [0.74328, 2.19415, -3.75210], [-1.98724, -2.28748, 3.32259], [-2.47987, -0.84699, 2.12304], [-2.11304, -2.47959, 1.66905]],
  "nbo_charge": [-0.137, -0.074, 0.062, -0.133, 0.248, -0.692, -0.797, -0.114, -0.469, -0.337, -0.947, -0.907, 2.068, 0.218, 0.213, 0.222, 0.187, 0.239, 0.219, 0.241, 0.239, 0.235, 0.216],
  "de_lowest_ev": 6.808,
  "homo_lumo_gap_ev": 7.3774,
  "energy_ha": -968.802515,
  "smiles": "C#C/C(=N/C=C\\N=C\\C)S(C)(=O)=O"
}

***

{
  "formula": "C2H7N3S2",
  "method": "ωB97M-V/def2-TZVPD",
  "symbols": ["C", "C", "H", "H", "H", "H", "H", "H", "H", "N", "N", "N", "S", "S"],
  "coordinates": [[1.81344, -1.38915, -1.40244], [-0.63209, 0.30152, 0.23278], [2.72873, -0.97940, -0.95754], [2.20201, -2.03778, -2.20481], [1.36381, -2.07251, -0.71022], [0.33105, 1.75502, -0.82292], [-1.86744, -0.95562, 0.90583], [0.03700, 1.59386, 1.56343], [-2.94849, 1.86801, 2.26242], [0.39390, 0.72658, -0.61123], [-1.34486, -0.74381, 0.00383], [-0.82999, 1.19789, 1.30118], [0.72608, -0.17579, -2.02772], [-1.97315, 0.91118, 2.46740]],
  "nbo_charge": [-0.800, 0.542, 0.219, 0.243, 0.228, 0.404, 0.348, 0.394, 0.111, -0.797, -0.724, -0.804, 0.440, 0.197],
  "de_lowest_ev": 0.387,
  "homo_lumo_gap_ev": 9.1435,
  "energy_ha": -1041.007774,
  "smiles": "[H]/N=C(\\NS)NSC"
}

***

{
  "formula": "C2H2N4S2",
  "method": "ωB97M-V/def2-TZVPD",
  "symbols": ["C", "C", "H", "H", "N", "N", "N", "N", "S", "S"],
  "coordinates": [[1.22517, -0.05746, -0.00517], [-1.23009, 0.07830, 0.11283], [3.00614, -1.20277, 0.71201], [-3.06146, 1.19500, -0.69454], [0.66762, -1.20439, -0.06541], [-0.63609, -1.14321, 0.19094], [-0.65074, 1.23583, 0.15100], [0.71697, 1.13976, 0.15285], [2.97143, 0.07049, -0.30324], [-3.00896, -0.11155, -0.25128]],
  "nbo_charge": [0.156, 0.196, 0.177, 0.155, -0.179, -0.174, -0.208, -0.194, 0.033, 0.038],
  "de_lowest_ev": 1.606,
  "homo_lumo_gap_ev": 7.9941,
  "energy_ha": -1092.675368,
  "smiles": "Sc1nnc(S)nn1"
}

***

{
  "formula": "C23H72O13",
  "method": "ωB97M-V/def2-TZVPD",